Con este video vas a aprender sobre los distintos ritmos cardiacos, señales y síntomas de un ritmo irregular, y cómo se diagnostican.
Aprende lo que es un electrocardiograma, o ECG, cómo funciona y por qué podría ser utilizado.
Aprende cómo se toman los medicamentos antiarrítmicos de manera segura.
Aprende lo que es un infarto cardíaco, cuáles son los riesgos, y lo que debes hacer si notas que alguien está sufriendo un infarto cardíaco.
Con este video aprenderás cómo afecta el aleteo auricular a tu corazón y a la circulación de sangre, y cuáles son las mejores opciones de tratamiento.
Las CVP constituyen un tipo común de latido irregular. Sepa por qué suceden y cuándo debe llamar al médico.
La bradicardia se produce cuando el corazón late muy lentamente y puede causar problemas. Sepa cómo se diagnostica, y qué tratamientos pueden ayudar.
La taquicardia se produce cuando el corazón late demasiado rápido. Sepa qué síntomas causa, cómo se diagnostica y qué tratamientos pueden ayudar a manejarla.
When the heart suddenly stops beating, it is called sudden cardiac arrest. Emergency treatment is needed to get the heart beating again. If treatment is not started right away, sudden cardiac arrest can lead to death.
Sometimes problems with the heart's electrical signals lead to a fast heart rhythm. Too many signals may make the heart beat very fast (tachycardia). Or signals may be sent so rapidly and irregularly that the heart muscle sometimes quivers and doesn't beat at all (fibrillation).
If your blood pressure drops too low, your brain may not get enough oxygen-rich blood. Your body responds by losing consciousness briefly. You also slump or fall down. This problem is called syncope, fainting, or a blackout.
Syncope (fainting) has many causes. Sometimes it's not serious. In other cases, it's a sign of a heart problem. Read on to learn more.
Your healthcare provider will ask you about your fainting episode and your past health. They'll also do an exam. You may need a number of tests to assess your symptoms
If you have been told that your fainting is not caused by a heart problem, you can help prevent fainting. And you can learn to respond to your body's warning signs.
If heart trouble caused your fainting, treatment may improve blood flow, stop syncope, and help prevent further heart problems. Your provider can explain the benefits and risks of each treatment.
Premature ventricular contractions (PVCs) are a type of abnormal heartbeat (arrhythmia). They are very common. They can occur in people of all ages from time to time. They usually cause only mild symptoms.
Your heart uses electrical signals to keep pumping normally. With right bundle branch block, some signals are slowed when they pass through the heart.
An event monitor is a device used to record your heart's electrical activity. It's portable, so you carry it with you. It helps to diagnose some kinds of abnormal heart rhythm and other health conditions. It records your heart's activity when you have symptoms.
Lead extraction is the removal of wires from your heart. The wires are part of an implanted cardiac device.
Left bundle branch block is a problem in the heart's electrical system. It causes the left lower chamber (ventricle) of the heart to pump more slowly than normal.
Supraventricular tachycardia (SVT) is a type of abnormally fast heartbeat. The heart normally beats 60 to 100 beats per minute. With SVT, the heart beats more than 100 times a minute. It may beat as fast as 250 times a minute.
Arrhythmogenic right ventricular dysplasia is a disease of the heart muscle. It replaces normal heart muscle with fatty fibrous tissue. This interrupts normal electrical signals in the heart.
Vasovagal syncope is fainting caused by a complex nerve and blood vessel reaction in the body. It's the most common cause of fainting. Unlike other causes of fainting, it's not a sign of a problem with the heart or brain.
Arrhythmogenic right ventricular cardiomyopathy (ARVC) is a disease of the heart muscle. ARVC is a rare genetic disease. It usually starts between ages 10 and 50. It replaces normal heart muscle with fatty fibrous tissue, mainly in the right ventricle.
Lead extraction is the removal of wires from your heart. The wires are part of an implanted cardiac device. This sheet tells you what to expect before, during, and after the procedure.
These records of crystals were left in the entry by mistake
=====
--- A ---
Computed, not measured: a geometry-optimized CeVOs structure at the GGA-PBE level of DFT.

a = 5.7951 Å, b = 5.7562 Å, c = 7.4614 Å
α = 90.00°, β = 107.98°, γ = 90.00°
Space group P2_1/c (No. 14)
One atom of each set of equivalent atoms:
Ce  0.0726  0.2448  0.3951
V  0.4982  0.0005  0.2896
Os  0.3574  0.7003  0.4653

## Properties
The total magnetization is 0.18 μB/cell. As for the crystal system: monoclinic. As for the density of states at the Fermi level: 1.933 states/eV per atom.

--- B ---
Computed, not measured: a geometry-optimized CeVOs structure at the GGA-PBE level of DFT.

a = 4.9566 Å, b = 5.7903 Å, c = 7.5338 Å
α = 90.00°, β = 90.00°, γ = 90.00°
Space group Imma (No. 74)
One atom of each set of equivalent atoms:
Ce  0.0000  0.2500  0.1301
V  0.2500  0.2500  0.7500
Os  0.0000  0.0000  0.5000

## Properties
The total magnetization is 0.00 μB/cell. As for the crystal system: orthorhombic. As for the density of states at the Fermi level: 1.519 states/eV per atom.

Energy comparison, zero being the most stable, in kJ/mol of atoms: A 12.6; B 0.0.

~~~~~

[1]
VASP calculation (PBE) on crystalline CsK2BeBi at its relaxed geometry.

Unit cell a=7.632 b=7.632 c=6.450 alpha=90.00 beta=90.00 gamma=90.00
Space group P4/mmm (No. 123)
Symmetry-distinct sites (fractional):
Cs 0.000 0.000 0.000
K 0.000 0.500 0.000
Be 0.500 0.500 0.500
Bi 0.000 0.000 0.500

Results
Calculated volume (Å³ per cell): 375.7
ΔH_f (0 K) (eV/atom): 1.014



[2]
VASP calculation (PBE) on crystalline Cs2NaBeBi2 at its relaxed geometry.

Unit cell a=7.666 b=17.096 c=7.135 alpha=90.00 beta=90.00 gamma=90.00
Space group Ibam (No. 72)
Symmetry-distinct sites (fractional):
Cs 0.240 0.167 0.000
Na 0.000 0.000 0.250
Be 0.000 0.500 0.250
Bi 0.190 0.421 0.000

Results
Calculated volume (Å³ per cell): 935.1
ΔH_f (0 K) (eV/atom): -0.164



[3]
VASP calculation (PBE) on crystalline CsBeBi2O at its relaxed geometry.

Unit cell a=6.878 b=6.878 c=6.520 alpha=90.00 beta=90.00 gamma=90.00
Space group P4/mmm (No. 123)
Symmetry-distinct sites (fractional):
Cs 0.000 0.000 0.000
Be 0.000 0.000 0.500
Bi 0.000 0.500 0.000
O 0.500 0.500 0.500

Results
Calculated volume (Å³ per cell): 308.4
ΔE_f (raw) (eV per atom): 2.0277



[4]
VASP calculation (PBE) on crystalline CsBe4Bi3O12 at its relaxed geometry.

Unit cell a=10.5151 b=10.5151 c=8.5917 alpha=90.00 beta=90.00 gamma=120.00
Space group R32 (No. 155, hexagonal axes)
Symmetry-distinct sites (fractional):
Cs 0.0000 0.0000 0.0000
Be 0.0000 0.0000 0.5000
Be 0.0000 0.4405 0.5000
Bi 0.0000 0.5496 0.0000
O 0.0000 0.5948 0.5000
O 0.0000 0.8498 0.5000
O 0.0215 0.2082 0.2176

Results
Calculated volume (Å³ per cell): 822.7
ΔE_f (raw) (eV per atom): -1.4800



[5]
VASP calculation (PBE) on crystalline Cs4Rb2BeBi2 at its relaxed geometry.

Unit cell a=14.965 b=10.457 c=6.933 alpha=90.00 beta=105.44 gamma=90.00
Space group C2/m (No. 12)
Symmetry-distinct sites (fractional):
Cs 0.122 0.214 0.252
Rb 0.135 0.500 0.808
Be 0.000 0.000 0.500
=====
Left bundle branch block is a problem in the heart's electrical system. Learn more about the types of treatment for this condition.
Atrial flutter is a type of arrhythmia. It causes the heart to beat faster than normal. Atrial flutter can increase the risk for certain serious problems, such as stroke.
Any abnormal change in the speed or pattern of the heartbeat is called an arrhythmia. An arrhythmia that causes the heart to beat slower than normal is called bradycardia.
First-degree heart block is a condition where the wiring of the heart is slow to send electrical signals, but all of the signals still pass successfully. It often does not cause problems.
Heart palpitations are a symptom. It's the feeling you have when your heartbeat seems to be racing, pounding, skipping, or fluttering.
Heart block is a condition in which the electrical wiring system of the heart does not work properly. Second-degree heart block causes a missed heartbeat and an irregular pulse.
If you have a heart rhythm problem that causes the heart to beat faster than normal, this is known as tachycardia. There are many types of tachycardia.
A person with third-degree heart block usually has a very slow heartbeat. It is caused by a problem with how the heart's electrical system works.
Sick sinus syndrome (SSS) is a type of abnormal heartbeat, or arrhythmia. If you have SSS, you may have episodes when your heart beats very slowly, stops beating for a short while, or beats very rapidly.
Supraventricular tachycardia (SVT) is a kind of abnormally fast heartbeat.
An arrhythmia is an abnormal heart rhythm that can cause problems with the contractions of your heart chambers.
Comprende lo básico de un marcapasos inalámbrico
Sigue los pasos clave para prepararte para la colocación de un marcapasos sin cables.
Sigue las instrucciones de cuidado personal y reconoce cuándo buscar atención después de haberte colocado el marcapasos sin cables.
La fibrilación auricular se produce cuando las cámaras superiores del corazón no bombean con normalidad. Conozca lo que sucede en el corazón y cómo puede manejarse.
El aleteo auricular se produce cuando las cámaras superiores del corazón laten demasiado rápido. Sepa cómo sucede y cómo se puede tratar.
Records of crystals from another source follow:
+++
AlIF3, optimized geometry, DFT GGA-PBE; energy above the most stable polymorph in this dataset = 0.819 eV per atom; space group = Pm-3m; total moment = 1.0 μB per cell
1.0
-1.538 -1.568 -3.480
-0.586 -3.611 1.886
-3.772 1.200 1.126
F Al I
3 1 1
direct
0.000 0.000 0.500
0.500 0.000 0.000
0.000 0.500 0.000
0.000 0.000 0.000
0.500 0.500 0.500

----------

## a
BeCr2I GGA-PBE optimized geometry; density of states at the Fermi level = 4.13 states/eV/cell
1.0
0.0000 3.0088 3.0088
3.0088 0.0000 3.0088
3.0088 3.0088 0.0000
Be I Cr
1 1 2
Direct
0.0000 0.0000 0.0000 Be
0.5000 0.5000 0.5000 I
0.2500 0.2500 0.2500 Cr
0.7500 0.7500 0.7500 Cr

---

## b
BeCr2I GGA-PBE optimized geometry; density of states at the Fermi level = 4.73 states/eV/cell
1.0
-1.5925 0.9463 -3.3003
1.3687 -3.1615 -1.5669
-7.1883 -5.2716 -0.2131
Cr Be I
4 2 2
Direct
0.8750 0.7920 0.7500 Cr
0.2080 0.6250 0.2500 Cr
0.5420 0.1250 0.2500 Cr
0.3750 0.4580 0.7500 Cr
0.5000 0.5000 0.0000 Be
0.2500 0.7500 0.5000 Be
0.7500 0.2500 0.5000 I
0.0000 0.0000 0.0000 I

---

It is b that is the least stable of them.

---

## a
Be2CrI2 GGA-PBE optimized geometry; density of states at the Fermi level = 13.72 states/eV/cell
1.0
7.2523 0.0000 0.0000
0.0000 7.2523 0.0000
0.0000 0.0000 3.5757
Be I Cr
4 4 2
Direct
0.1778 0.6778 0.5000 Be
0.6778 0.8222 0.5000 Be
0.3222 0.1778 0.5000 Be
0.8222 0.3222 0.5000 Be
0.8360 0.6640 0.0000 I
0.3360 0.8360 0.0000 I
0.1640 0.3360 0.0000 I
0.6640 0.1640 0.0000 I
0.0000 0.0000 0.0000 Cr
0.5000 0.5000 0.0000 Cr

---

## b
Be2CrI2 GGA-PBE optimized geometry; density of states at the Fermi level = 6.76 states/eV/cell
1.0
-0.0050 -2.9128 -1.4323
2.7471 -0.7667 1.5496
-3.7834 -5.4464 7.4115
Be I Cr
2 2 1
Direct
0.2500 0.7500 0.5000 Be
0.7500 0.2500 0.5000 Be
0.5861 0.5861 0.8278 I
0.4139 0.4139 0.1722 I
0.0000 0.0000 0.0000 Cr

---

It is a that is the least stable of them.

---

## a
BeCrI2N GGA-PBE optimized geometry; density of states at the Fermi level = 2.89 states/eV/cell
1.0
5.5158 0.0000 0.0000
0.0000 5.5158 0.0000
0.0000 0.0000 3.6292
N I Cr Be
1 2 1 1
Direct
0.0000 0.0000 0.5000 N
0.5000 0.0000 0.0000 I
0.0000 0.5000 0.0000 I
0.0000 0.0000 0.0000 Cr
0.5000 0.5000 0.5000 Be

---

## b
BeCrI2N GGA-PBE optimized geometry; density of states at the Fermi level = 6.51 states/eV/cell
1.0
5.3760 0.0000 0.0000
0.0000 5.3760 0.0000
0.0000 0.0000 3.2122
Cr Be N I
1 1 1 2
Direct
0.5000 0.5000 0.5000 Cr
0.0000 0.0000 0.0000 Be
0.0000 0.0000 0.5000 N
0.0000 0.5000 0.0000 I
0.5000 0.0000 0.0000 I

---

It is b that is the least stable of them.

---

## a
BeCrSbI2 GGA-PBE optimized geometry; density of states at the Fermi level = 2.32 states/eV/cell
1.0
-3.0192 -2.6323 -3.7151
2.8791 -4.5571 0.8891
-3.4108 -1.4181 3.7767
Cr Sb Be I
1 1 1 2
Direct
0.0000 0.0000 0.0000 Cr
0.0000 0.0000 0.5000 Sb
0.5000 0.5000 0.5000 Be
0.5000 0.0000 0.0000 I
0.0000 0.5000 0.0000 I

---

## b
BeCrSbI2 GGA-PBE optimized geometry; density of states at the Fermi level = 4.35 states/eV/cell
1.0
+++
Los trastornos en el sistema eléctrico del corazón pueden provocar arritmias o un ritmo cardíaco anormal. Hay muchos tipos de arritmias y se clasifican por el lugar en que se producen en el corazón y su patrón de anormalidad. Este segmento explicará la arritmia conocida como Fibrilación Atrial.
Con este video aprenderás lo que es la fibrilación atrial, algunos de sus síntomas, y sus distintos tratamientos.
Trastornos en el sistema eléctrico del corazón pueden provocar arritmias o un ritmo cardíaco anormal. Hay muchos tipos de arritmias y se clasifican por el lugar donde ocurren en el corazón y su patrón de anormalidad. Este segmento explicará la arritmia conocida como Fibrilación Atrial.
Con este video aprenderás sobre lo que debes hacer para controlar tu fibrilación atrial cuando salgas del hospital.
Si le han diagnosticado Fibrilación Atrial y está bajo el cuidado de un cardiólogo, si toma sus medicamentos recetados y hace los cambios de estilo de vida necesarios, usted podrá tener una mejor calidad de vida posible.
Sigue esta lista para manejar tus medicamentos para la fibrilación atrial.
Con este video aprenderás cuándo debes llamar a tu doctor para evitar malestar o algún problema más serio por tu fibrilación atrial.
Cuando diagnostican la fibrilación atrial, normalmente el primer tratamiento recomendado por los cardiólogos son medicamentos. Sin embargo, es posible que con el tiempo los medicamentos ya no sean efectivos o que no mejoren los síntomas. En estos casos, es posible que su profesional médico recomiende una intervención conocida por ablación con catéter.
La fibrilación atrial causa que el corazón lata fuera de ritmo. Para que el corazón vuelva a latir normalmente, a veces es necesario darle un 'shock' eléctrico. Puede ser intimidante la idea de administrar una descarga eléctrica al corazón, pero es una intervención rápida y no la va a sentir
Vean como Kersey ha vivido y ha hecho cambios de estilo de vida después de haber sido diagnosticado con una enfermedad cardíaca.
Atrial fibrillation can be controlled. With treatment, most people with atrial fibrillation lead normal lives.
Atrial fibrillation is the most common abnormal heart rhythm in the world. It causes the atria to quiver instead of pumping normally. This can cause blood clots and lead to stroke.
Atrial fibrillation, or AFib, is a common type of heart arrhythmia. It causes fast, chaotic electrical signals in the atria.
**Someone pasted calculated crystals at this point**
-- begin --
# 1
VASP calculation (PBE-GGA) on an optimized crystal structure of TiNbSb.

a = 3.1006 Å, b = 3.0998 Å, c = 6.8228 Å
α = 98.36°, β = 82.10°, γ = 67.77°
Element x y z (fractional)
1 Ti 0.0397 0.2980 0.8086
2 Nb 0.7046 0.6434 0.4874
3 Sb 0.2524 0.8478 0.1449

# 2
VASP calculation (PBE-GGA) on an optimized crystal structure of TiNbVSb.

a = 4.5746 Å, b = 4.5746 Å, c = 4.5746 Å
α = 60.00°, β = 60.00°, γ = 60.00°
Element x y z (fractional)
1 Sb 0.0000 0.0000 0.0000
2 Nb 0.5000 0.5000 0.5000
3 Ti 0.2500 0.2500 0.2500
4 V 0.7500 0.7500 0.7500

# 3
VASP calculation (PBE-GGA) on an optimized crystal structure of YTiNbSb2.

a = 5.4232 Å, b = 4.6258 Å, c = 5.4232 Å
α = 90.00°, β = 90.00°, γ = 90.00°
Element x y z (fractional)
1 Y 0.5000 0.5000 0.5000
2 Sb 0.0000 0.0000 0.5000
3 Sb 0.5000 0.0000 0.0000
4 Nb 0.0000 0.0000 0.0000
5 Ti 0.0000 0.5000 0.0000

# 4
VASP calculation (PBE-GGA) on an optimized crystal structure of NbTlSb3.

Summary:
- distance to the lowest polymorph of the same formula (meV/atom) = 0

a = 5.4249 Å, b = 5.4249 Å, c = 5.4249 Å
α = 90.00°, β = 90.00°, γ = 90.00°
Element x y z (fractional)
1 Sb 0.0000 0.5000 0.0000
2 Sb 0.0000 0.0000 0.5000
3 Sb 0.5000 0.0000 0.0000
4 Tl 0.5000 0.5000 0.5000
5 Nb 0.0000 0.0000 0.0000

Number 1: calculated volume 58.7 Å³/cell, formation energy from raw total energies -0.096 eV per atom. Number 2: calculated volume 67.7 Å³/cell, formation energy from raw total energies -0.138 eV per atom. Number 3: calculated volume 136.0 Å³/cell, formation energy from raw total energies 0.230 eV per atom. Number 4: calculated volume 159.6 Å³/cell, formation energy from raw total energies 0.206 eV per atom.
-- stop --
LAAC seals off the left atrial appendage (LAA) of the heart. This reduces the risk for stroke in people who have atrial fibrillation.
Catheter ablation destroys (ablates) an abnormal electrical pathway or groups of electrical cells that may be causing a heart rhythm problem (arrhythmia). Read on to learn what to expect before, during, and after the procedure.
This catheter ablation procedure destroyed (ablated) a few of the cells in your heart that were causing your heart rhythm problem. During the procedure, a thin, flexible wire (called a catheter) was inserted into a blood vessel in your upper thigh and threaded up to the heart.
Your doctor performed a procedure called cardioversion. Your doctor used a controlled electric shock or a medication to briefly stop all electrical activity in your heart. This helped restore your heart's normal rhythm. Here are some instructions to follow while you recover.
Cardiac resynchronization therapy (CRT) is a treatment that may help a person whose heart isn't pumping as well as it should.
Your health care provider recommends that you have cardiac resynchronization therapy (CRT). This is a procedure to place a small device in your chest and wires in your heart. CRT improves the timing of your heart's contractions. This helps your heart pump better. CRT can be done with a pacemaker or a defibrillator. Your health care provider will decide which device is better for you.
Your CRT device needs special care. You will also need to make some lifestyle changes. Find out how to take care of the device and your health.
Cardioversion is a procedure that is done to return your heartbeat to a normal rhythm. It's done when the heart is beating very fast or irregular.
Cardioversion is a procedure that is done to return your heartbeat to a normal rhythm. You take medicine, either through an IV or by mouth.
An implantable loop recorder is a device that records information about how your heart is working.
This procedure replaces a pacemaker or an ICD that is running low on battery power. The surgery is usually done as an outpatient procedure. You can go home the same day.